____________
Here is a geometry-optimized AlV2O4 structure from the Materials Project database. Energies are from PBE with a Hubbard U.

## Properties
Magnetization, μB/cell: 20.0
DFT formation energy, meV/atom: -2558
Relative energy among the computed polymorphs, eV/atom: 0.207
Uncorrected energy, eV/atom: -7.637

The structure in CIF format:
```
data_AlV2O4
_chemical_formula_sum 'Al4 V8 O16'
_space_group_name_H-M_alt 'I m m a'
_space_group_IT_number 74
_space_group_name_Hall '-I 2b 2'
_cell_length_a 5.9063
_cell_length_b 6.0508
_cell_length_c 8.3291
_cell_angle_alpha 90.00
_cell_angle_beta 90.00
_cell_angle_gamma 90.00
loop_
_atom_site_label
_atom_site_type_symbol
_atom_site_fract_x
_atom_site_fract_y
_atom_site_fract_z
Al1 Al 0.2500 0.2500 0.2500
V1 V 0.0000 0.0000 0.0000
V2 V 0.2500 0.2500 0.7500
O1 O 0.0000 0.0280 0.2465
O2 O 0.2246 0.2500 0.0172
```


Below is an optimized crystal structure of MgFe6O6F6, with properties calculated at the GGA+U level. Values from VASP.

Structure (Quantum ESPRESSO input):
```
&SYSTEM
  ibrav = 0, nat = 19, ntyp = 4
/
ATOMIC_SPECIES
Mg 24.30 Mg.upf
Fe 55.84 Fe.upf
O 16.00 O.upf
F 19.00 F.upf
CELL_PARAMETERS angstrom
5.192 0.000 0.000
-0.051 5.321 0.000
-0.016 -0.345 8.815
ATOMIC_POSITIONS angstrom
Mg 0.000 0.000 0.000
Fe 0.093 2.109 7.244
Fe 2.022 4.722 5.874
Fe 2.643 0.039 8.805
Fe 2.836 0.138 2.998
Fe 4.518 2.842 1.530
Fe 4.617 2.855 4.474
O 0.817 3.254 5.768
O 1.292 0.349 7.382
O 3.360 4.320 4.449
O 3.646 4.573 1.409
O 3.807 1.791 2.977
O 4.192 1.745 0.015
F 0.626 3.409 2.936
F 0.846 3.600 0.209
F 1.341 0.660 1.591
F 1.408 0.566 4.378
F 3.637 4.243 7.339
F 3.853 1.598 5.769
```

Calculated values
* size of the total moment: 28.0 Bohr magnetons per cell
* space group: P1 (1)
* ΔE to the lowest computed polymorph: 0.048 eV per atom
* total DFT energy (no corrections): -5.95 eV per atom

Below is an optimized crystal structure of BaSrCaCrO6, with properties calculated at the GGA+U level. Values from VASP.

Structure (Quantum ESPRESSO input):
```
&SYSTEM
  ibrav = 0, nat = 10, ntyp = 5
/
ATOMIC_SPECIES
Ba 137.33 Ba.upf
Sr 87.62 Sr.upf
Ca 40.08 Ca.upf
Cr 52.00 Cr.upf
O 16.00 O.upf
CELL_PARAMETERS angstrom
0.000 4.120 4.120
4.120 0.000 4.120
4.120 4.120 0.000
ATOMIC_POSITIONS angstrom
Ba 0.000 0.000 0.000
Sr 4.120 4.120 4.120
Ca 6.181 6.181 6.181
Cr 2.060 2.060 2.060
O 2.060 2.060 0.205
O 2.060 0.205 2.060
O 3.915 2.060 2.060
O 0.205 2.060 2.060
O 2.060 3.915 2.060
O 2.060 2.060 3.915
```

Calculated values
* size of the total moment: 0.0 Bohr magnetons per cell
* space group: F-43m (216)
* total DFT energy (no corrections): -6.47 eV per atom

Below is an optimized crystal structure of FeNiP2O8, with properties calculated at the GGA+U level. Values from VASP.

Structure (Quantum ESPRESSO input):
```
&SYSTEM
  ibrav = 0, nat = 36, ntyp = 4
/
ATOMIC_SPECIES
Fe 55.84 Fe.upf
Ni 58.69 Ni.upf
P 30.97 P.upf
O 16.00 O.upf
CELL_PARAMETERS angstrom
4.327 2.498 6.794
-4.327 2.498 6.794
0.000 -4.996 6.794
ATOMIC_POSITIONS angstrom
Fe 0.000 0.000 0.000
Fe 0.000 0.000 2.990
Fe 0.000 0.000 10.214
Ni 0.000 0.000 7.312
Ni 0.000 0.000 13.112
Ni 0.000 0.000 17.494
P -3.031 -0.263 8.523
P -1.285 -2.756 11.923
P 1.744 -2.493 8.523
P -1.744 2.491 11.923
P 1.287 2.757 8.523
P 3.029 0.265 11.923
O -0.728 -1.537 3.894
O -3.563 -0.942 9.767
O -3.649 1.173 8.283
O -2.823 -2.592 12.178
O -1.025 -1.432 6.397
O -0.967 1.399 3.894
O 0.809 -3.747 8.283
O -1.501 -0.046 8.779
O -0.727 1.604 6.397
O 1.695 0.138 3.894
O -0.700 -1.337 11.632
O 0.790 -1.277 8.779
O -1.755 0.128 14.046
O 1.753 -0.172 6.397
O -0.807 1.275 11.632
O 0.710 1.323 8.779
O 2.597 -2.615 9.767
O 0.767 -1.584 14.046
O 1.508 0.062 11.632
O -0.834 3.740 12.178
O 0.966 3.557 9.767
O 0.988 1.456 14.046
O 2.841 2.574 8.283
O 3.656 -1.148 12.178
```

Calculated values
* size of the total moment: 24.0 Bohr magnetons per cell
* space group: R3 (146)
* ΔE to the lowest computed polymorph: 0.039 eV per atom
* total DFT energy (no corrections): -6.62 eV per atom
____________

Echo the lines above up to the one that holds "7.312", that line included.

Here is a geometry-optimized AlV2O4 structure from the Materials Project database. Energies are from PBE with a Hubbard U.

## Properties
Magnetization, μB/cell: 20.0
DFT formation energy, meV/atom: -2558
Relative energy among the computed polymorphs, eV/atom: 0.207
Uncorrected energy, eV/atom: -7.637

The structure in CIF format:
```
data_AlV2O4
_chemical_formula_sum 'Al4 V8 O16'
_space_group_name_H-M_alt 'I m m a'
_space_group_IT_number 74
_space_group_name_Hall '-I 2b 2'
_cell_length_a 5.9063
_cell_length_b 6.0508
_cell_length_c 8.3291
_cell_angle_alpha 90.00
_cell_angle_beta 90.00
_cell_angle_gamma 90.00
loop_
_atom_site_label
_atom_site_type_symbol
_atom_site_fract_x
_atom_site_fract_y
_atom_site_fract_z
Al1 Al 0.2500 0.2500 0.2500
V1 V 0.0000 0.0000 0.0000
V2 V 0.2500 0.2500 0.7500
O1 O 0.0000 0.0280 0.2465
O2 O 0.2246 0.2500 0.0172
```


Below is an optimized crystal structure of MgFe6O6F6, with properties calculated at the GGA+U level. Values from VASP.

Structure (Quantum ESPRESSO input):
```
&SYSTEM
  ibrav = 0, nat = 19, ntyp = 4
/
ATOMIC_SPECIES
Mg 24.30 Mg.upf
Fe 55.84 Fe.upf
O 16.00 O.upf
F 19.00 F.upf
CELL_PARAMETERS angstrom
5.192 0.000 0.000
-0.051 5.321 0.000
-0.016 -0.345 8.815
ATOMIC_POSITIONS angstrom
Mg 0.000 0.000 0.000
Fe 0.093 2.109 7.244
Fe 2.022 4.722 5.874
Fe 2.643 0.039 8.805
Fe 2.836 0.138 2.998
Fe 4.518 2.842 1.530
Fe 4.617 2.855 4.474
O 0.817 3.254 5.768
O 1.292 0.349 7.382
O 3.360 4.320 4.449
O 3.646 4.573 1.409
O 3.807 1.791 2.977
O 4.192 1.745 0.015
F 0.626 3.409 2.936
F 0.846 3.600 0.209
F 1.341 0.660 1.591
F 1.408 0.566 4.378
F 3.637 4.243 7.339
F 3.853 1.598 5.769
```

Calculated values
* size of the total moment: 28.0 Bohr magnetons per cell
* space group: P1 (1)
* ΔE to the lowest computed polymorph: 0.048 eV per atom
* total DFT energy (no corrections): -5.95 eV per atom

Below is an optimized crystal structure of BaSrCaCrO6, with properties calculated at the GGA+U level. Values from VASP.

Structure (Quantum ESPRESSO input):
```
&SYSTEM
  ibrav = 0, nat = 10, ntyp = 5
/
ATOMIC_SPECIES
Ba 137.33 Ba.upf
Sr 87.62 Sr.upf
Ca 40.08 Ca.upf
Cr 52.00 Cr.upf
O 16.00 O.upf
CELL_PARAMETERS angstrom
0.000 4.120 4.120
4.120 0.000 4.120
4.120 4.120 0.000
ATOMIC_POSITIONS angstrom
Ba 0.000 0.000 0.000
Sr 4.120 4.120 4.120
Ca 6.181 6.181 6.181
Cr 2.060 2.060 2.060
O 2.060 2.060 0.205
O 2.060 0.205 2.060
O 3.915 2.060 2.060
O 0.205 2.060 2.060
O 2.060 3.915 2.060
O 2.060 2.060 3.915
```

Calculated values
* size of the total moment: 0.0 Bohr magnetons per cell
* space group: F-43m (216)
* total DFT energy (no corrections): -6.47 eV per atom

Below is an optimized crystal structure of FeNiP2O8, with properties calculated at the GGA+U level. Values from VASP.

Structure (Quantum ESPRESSO input):
```
&SYSTEM
  ibrav = 0, nat = 36, ntyp = 4
/
ATOMIC_SPECIES
Fe 55.84 Fe.upf
Ni 58.69 Ni.upf
P 30.97 P.upf
O 16.00 O.upf
CELL_PARAMETERS angstrom
4.327 2.498 6.794
-4.327 2.498 6.794
0.000 -4.996 6.794
ATOMIC_POSITIONS angstrom
Fe 0.000 0.000 0.000
Fe 0.000 0.000 2.990
Fe 0.000 0.000 10.214
Ni 0.000 0.000 7.312